Ending Poverty And Corruption In Africa
This is a guest post from Samantha English, Jump Start Africa Communications Ambassador.
A lofty goal, but it’s one to which Ahmed Zrikem has dedicated his life’s work.
Over the last 60 years, developed countries around the world have donated more than $1 trillion to aid the development of society in Africa. Without a doubt, the majority of that aid has been pocketed by corruption, and as a result over half of Africa’s population lives in unimaginable poverty.
**Unrelated to this page: records of crystals:**
=====
Density functional theory data (PBE) for crystalline Tb3ErTl3 at its relaxed geometry.

Cell lengths 5.2504, 9.4061, 9.4061 Å; angles 120.00, 90.00, 90.00 degrees
Positions (direct):
Tl  0.7500  0.9279  0.5492
Tl  0.2500  0.3788  0.9279
Tl  0.2500  0.5492  0.6212
Tl  0.7500  0.4508  0.3788
Tl  0.7500  0.6212  0.0721
Tl  0.2500  0.0721  0.4508
Tb  0.2500  0.9969  0.7637
Tb  0.2500  0.2363  0.2332
Tb  0.7500  0.7637  0.7668
Tb  0.2500  0.7668  0.0031
Tb  0.7500  0.0031  0.2363
Tb  0.7500  0.2332  0.9969
Er  0.7500  0.3333  0.6667
Er  0.2500  0.6667  0.3333

Properties
**Size of the total moment**: 0.00 Bohr magnetons per cell
**DFT total energy**: -3.85 eV per atom
**Formation energy from the elements**: -1.4 eV/f.u.
**Fermi-level density of states**: 10.71 states/eV/cell
=====
“Real per-capita income is lower in Africa today than it was in the 1970s, and more than 50% of the population — over 350 million people — live on less than $1 per day; a figure that has nearly doubled in two decades,” explains Zrikem. “Unmonitored assistance has encouraged corruption in Africa for decades.”
**Between two parts of the text: records of crystals:**
'''
[1]
Below is ThZrNi2 after structural relaxation, with properties calculated at the GGA-PBE level.

Computed properties:
**E_tot**: -29.1 eV per cell
**Formation energy**: -399 meV per atom
**Space group**: Pm (6)
**Distance to the lowest polymorph of the same formula**: 0.00 eV per formula unit

extended XYZ file:
```
4
Lattice="3.562 0.000 -0.031 0.000 4.222 0.000 -1.759 0.000 5.141" Properties=species:S:1:pos:R:3 pbc="T T T"
Th 0.827 2.111 2.165
Zr 0.844 0.000 5.004
Ni -0.933 2.111 4.483
Ni -0.951 0.000 2.793
```

---

[2]
Below is LiNdZnCu after structural relaxation, with properties calculated at the GGA-PBE level.

Computed properties:
**E_tot**: -12.6 eV per cell
**Formation energy**: -133 meV per atom
**Space group**: F-43m (216)

extended XYZ file:
```
4
Lattice="4.836 0.000 0.000 2.418 4.188 0.000 2.418 1.396 3.949" Properties=species:S:1:pos:R:3 pbc="T T T"
Zn 7.254 4.188 2.961
Nd 0.000 0.000 0.000
Cu 2.418 1.396 0.987
Li 4.836 2.792 1.974
```

---

[3]
Below is Ac3Nd3YS8 after structural relaxation, with properties calculated at the GGA-PBE level.

Computed properties:
**E_tot**: -96.8 eV per cell
**Uncorrected formation energy**: -2.046 eV per atom
**Space group**: R-3m (166)

extended XYZ file:
```
15
Lattice="8.246 0.000 0.000 -4.123 7.141 -0.025 0.000 -4.736 6.943" Properties=species:S:1:pos:R:3 pbc="T T T"
Ac 0.000 0.000 0.000
Ac -2.061 3.571 -0.013
Ac 2.061 3.571 -0.013
Nd 4.123 -2.368 3.471
Nd 2.061 1.203 3.459
Nd -2.061 1.203 3.459
Y 0.000 -2.368 3.471
S 0.000 2.387 1.824
S 4.123 0.018 5.093
S 4.123 2.457 1.869
S 0.000 -0.052 5.049
S 6.245 -1.219 1.882
S -2.122 3.624 5.036
S 2.001 -1.219 1.882
S 2.122 3.624 5.036
```

---

[4]
Below is Na3Hg4Sb after structural relaxation, with properties calculated at the GGA-PBE level.

Computed properties:
**E_tot**: -11.1 eV per cell
**Uncorrected formation energy**: -0.231 eV per atom
**Space group**: P-1 (2)
**Distance to the lowest polymorph of the same formula**: 0.00 eV per formula unit

extended XYZ file:
```
8
Lattice="-0.950 2.610 -2.315 -0.851 -3.836 -3.959 -10.052 1.949 3.527" Properties=species:S:1:pos:R:3 pbc="T T T"
Na -2.900 1.407 -0.047
Na -8.952 -0.684 -2.700
Na -0.900 -0.613 -3.137
Hg -3.849 0.809 -3.152
Hg -8.004 -0.086 0.404
Hg -5.935 1.991 -0.948
Hg -5.917 -1.268 -1.799
Sb 0.000 0.000 0.000
```


A geometry-optimized Ac5PmIn4 structure. Source: the Alexandria database, functional PBE-GGA.

Cell: 3.9053 3.9053 23.4359 Å, 90.00 90.00 90.00°
Fractional positions:
Ac 0.5000 0.5000 0.6938
Ac 0.5000 0.5000 0.3062
Ac 0.5000 0.5000 0.8858
Ac 0.5000 0.5000 0.1142
Ac 0.5000 0.5000 0.5000
In 0.0000 0.0000 0.2097
In 0.0000 0.0000 0.4029
In 0.0000 0.0000 0.5971
In 0.0000 0.0000 0.7903
Pm 0.0000 0.0000 0.0000

Summary:
The value obtained for the density of states at the Fermi level is 11.6 states/eV/f.u. As for the space group: P4/mmm, No. 123. The calculation puts the formation energy at -0.314 eV/atom.
'''
Zrikem’s crowdfunding platform, JumpStartAfrica.com, will jump start Africa’s start-up scene, delivering funding and resources directly to Africa’s most promising entrepreneurs, so they can build their own better world. Jump Start Africa is currently in development, and Zrikem and his team are raising funding through Indiegogo.
Unlike other crowdfunding platforms, JumpStart Africa will not stop at simply helping entrepreneurs access funding necessary to bring their visions to life, Zrikem and his team will also provide tools to help entrepreneurs succeed after their projects receive funding.
“Entrepreneurs that promote their projects via Jump Start Africa will have access to how-to guides, counseling and mentorship for the entrepreneurs,” Zrikem explained. “We want our visionaries to have all the information they will need to help ensure their business enjoys sustainable growth. Our passion is empowering Africa’s brightest minds, and that goes beyond simply funding projects. We want to give entrepreneurs the confidence and support they will need to operate and grow their businesses.”
Jump Start Africa has partnered with incubators and innovation centers to identify promising candidates. Zrikem and his team have identified four innovators that will debut with the launch of the site:
### Misplaced data records
'''
This record from the Alexandria database describes LaHgB after structural relaxation. The functional is PBE-GGA.

Lattice parameters (Å, degrees): 3.225 10.868 3.860 100.23 90.00 82.58
Atoms (fractional coordinates):
B  0.511  0.635  0.371
Hg  0.350  0.004  0.556
La  0.593  0.446  0.777
B  0.030  0.591  0.349
Hg  0.191  0.222  0.165
La  0.948  0.781  0.944

Results
volume = 22.00 Å³/atom
ΔE_f = -1.17 eV/f.u.
theoretical density = 8815 kg/m3

=====

Computed, not measured: crystalline Ba3Se at its relaxed geometry at the PBE-GGA level of DFT.

As for the crystal system: orthorhombic. The calculation puts the excess energy over the best structure of this formula in the dataset at 0.1212 eV per atom. For the magnetization, the calculation gives 0.0106 μB per atom. For the raw formation energy, the calculation gives -3.21 eV/f.u.

The structure belongs to space group Cmcm (No. 63); the cell edges are 12.850, 14.954 and 4.391 Å and the angles 90.00°, 90.00° and 90.00°. The asymmetric unit holds Ba at (0.000, 0.141, 0.250), Ba at (0.181, 0.369, 0.250) and Se at (0.000, 0.313, 0.750).

=====

Record 1
DFT (PBE) results for an optimized crystal structure of Li2YGaPd.

Results
Total DFT energy (no corrections): -12.86 eV/f.u.
Calculated density: 3.2 g/cm3
Energy of formation: 26.06 kcal/mol of atoms

CIF file:
```
data_Li2YGaPd
_cell_length_a 5.2655
_cell_length_b 5.2655
_cell_length_c 5.2756
_cell_angle_alpha 90.00
_cell_angle_beta 90.00
_cell_angle_gamma 90.00
_space_group_name_H-M_alt 'P 4/m m m'
_space_group_IT_number 123
_space_group_name_Hall '-P 4 2'
loop_
_atom_site_label
_atom_site_type_symbol
_atom_site_fract_x
_atom_site_fract_y
_atom_site_fract_z
Li1 Li 0.0000 0.5000 0.0000
Y1 Y 0.0000 0.0000 0.0000
Ga1 Ga 0.0000 0.0000 0.5000
Pd1 Pd 0.5000 0.5000 0.5000
```



Record 2
DFT (PBE) results for an optimized crystal structure of PuSnPt.

Results
Total DFT energy (no corrections): -26.29 eV/f.u.
Calculated density: 13.7 g/cm3
Energy of formation: -14.68 kcal/mol of atoms

CIF file:
```
data_PuSnPt
_cell_length_a 4.7088
_cell_length_b 4.7088
_cell_length_c 3.5307
_cell_angle_alpha 90.00
_cell_angle_beta 90.00
_cell_angle_gamma 120.00
_space_group_name_H-M_alt 'P -6 m 2'
_space_group_IT_number 187
_space_group_name_Hall 'P -6 2'
loop_
_atom_site_label
_atom_site_type_symbol
_atom_site_fract_x
_atom_site_fract_y
_atom_site_fract_z
Pu1 Pu 0.0000 0.0000 0.0000
Sn1 Sn 0.3333 0.6667 0.5000
Pt1 Pt 0.6667 0.3333 0.5000
```



Record 3
DFT (PBE) results for an optimized crystal structure of PuPaOsAu.

Results
Total DFT energy (no corrections): -38.95 eV/f.u.
Calculated density: 16.6 g/cm3
Energy of formation: -3.54 kcal/mol of atoms

CIF file:
```
data_PuPaOsAu
_cell_length_a 7.0202
_cell_length_b 7.0202
_cell_length_c 7.0202
_cell_angle_alpha 90.00
_cell_angle_beta 90.00
_cell_angle_gamma 90.00
_space_group_name_H-M_alt 'F -4 3 m'
_space_group_IT_number 216
_space_group_name_Hall 'F -4 2 3'
loop_
_atom_site_label
_atom_site_type_symbol
_atom_site_fract_x
'''
Rose Twines, dreams of providing every home in Uganda with an Eco-Stove. This stove – powered by smoke-free, reusable rocks – allows families to cook, light their homes and charge a mobile phone without electricity. Jump Start Africa will allow Twines to bring her dream to fruition, and help thousands of African families in the process.
One out of every five deaths in children under the age of five, is attributed to water-related disease. Professor Cloete and his team at Stellenbosch University have developed a water filter that is designed to fit in the neck of most standard-size water bottles. So far, Professor Cloete hasn’t found a bacteria his filter doesn’t kill. The team has created a working prototype, but they need funding to commercialize it so billions of African adults and children access to clean, safe drinking water.
Jump Start Africa will also help Adam Camenzuli realize his dream of commercializing an affordable solar light to replace kerosene lights so many African families use to light their homes. Kerosene is a highly flammable and toxic gas, responsible for over one million deaths each year, according to the World Health Organization. Camenzuli’s solar light replaces kerosene, offering African families a safe and affordable alternative source of light and energy.
Moses Gichanga has invented a drone that flies for up to two hours at a time. This drone has been proven to effectively deter poaching, and preserve Africa’s wildlife population. In fact, the United States uses Gichanga’s drone to monitor its borders. He now needs funding to launch his business operations, targeted at monitoring Africa’s wildlife reserves.
From clean drinking water and safer lighting options, to affordable energy and wildlife preservation, Jump Start Africa is destined to revolutionize Africa’s economy. But Ahmed Zrikem is interested in much more than the platform’s economic impact.
“We truly want to empower African entrepreneurs,” Zrikem said. “We want to give these promising individuals the tools they need to deliver themselves from the strongholds of poverty, and create a bright, promising future. We firmly believe this is the most effective way to Jump Start Africa.”
Join forces with supporters around the world to empower Africa’s brightest minds by helping Jump Start Africa reach its funding goal at: indiegogo.com/projects/jumpstart-africa/x/3869675.
The post Ending Poverty And Corruption In Africa appeared first on Your Mark On The World.